Members of Niles West’s VEX Robotics Team are advancing to the VEX Robotics World Championship and will head down to Louisville, Kentucky between Wednesday, April 19 and Saturday, April 22 to compete head-to-head against teams from all over the world.
After winning their first state championship title on Saturday, March 11 at Rotolo Middle School in Batavia, Illinois, Robotics Club, which has only been in existence for three years, has found rapid success. The club is made up of several smaller teams that have been working together throughout the year to build robots that compete in an engineering challenge determined by the VEX Robotics organization. Two of West’s teams qualified for Worlds this year: Team 321A, which includes juniors Adam Majcher, Robert Majcher, Patrick O’Dwyer, Ethan Moldofsky, and Jay Monga; and team 321H, which includes senior Michael Leon and juniors John Mitchell, Katia Teryokhina, Alen Cvitanovic, and Dennis Angelov.

This year’s robotics challenge, called Starstruck, sees robots compete to score the most points possible by getting stars across a barrier and into certain point zones. The robots must be pre-programmed to function on their own and score points without the help of their driver for the first part of the challenge; after this short period, teams control their robots by remote to score as many points as possible before time is up.
┌──
Below is a structure of composition F6KN3O12S6 at a distorted geometry, with properties calculated with ωB97M-V/def2-TZVPD.

The HOMO-LUMO gap comes out at 9.605 eV. Its total charge is -2. The value obtained for the energy above the lowest of the compared OMol25 structures with the same formula, charge and spin is 222.7 kJ/mol. For the molar mass, the calculation gives 579.497 g/mol. Its LUMO energy is 4.37 eV.

Geometry as XYZ:
```
28
Properties=species:S:1:pos:R:3:forces:R:3
K -0.02811 0.06556 0.14025 -0.2350 -0.2784 0.0969
N -1.57315 1.12458 2.23315 0.4240 3.2328 1.5163
S -2.14607 0.28816 3.41574 -1.2662 -4.1706 0.4908
O -3.57712 0.17832 3.39996 0.4746 0.5305 0.7743
O -1.39460 0.32802 4.64444 -0.6769 0.4460 -0.4596
F -1.77684 -1.15914 2.80458 0.5142 0.3569 0.0010
S -1.67810 2.67984 2.92246 -1.6916 0.6594 -1.8205
O -0.48127 3.20970 3.49109 -0.2508 -0.4769 -0.3577
O -2.96000 3.00615 3.53172 1.8292 -0.8121 -0.1908
F -1.86286 3.35197 1.49085 0.6652 0.3260 0.0732
N -0.54269 -2.25542 -1.30830 -0.3594 -3.3057 1.5079
S -0.99958 -3.74058 -0.58469 -2.0611 1.3780 1.1510
O 0.03790 -4.65402 -0.24233 0.1347 0.3779 -0.4727
O -2.26985 -4.19142 -1.10407 1.4102 -0.3093 -0.1282
F -1.50332 -3.21046 0.85912 0.9568 0.4193 -0.6648
S -0.84891 -2.58137 -2.83509 0.2329 1.6851 -1.9258
O -2.20705 -2.34381 -3.20522 0.0868 -0.1675 -0.2582
O -0.16007 -3.71156 -3.40871 -0.3170 0.8276 0.5327
F -0.10874 -1.24195 -3.39196 -0.1156 -0.9553 0.2350
N 2.05620 1.43380 -0.74691 -0.3073 2.9845 -3.0776
S 2.44397 2.73727 -1.83496 0.2893 2.4482 0.8804
O 1.38016 3.04567 -2.74541 0.2668 -0.3310 1.0285
O 3.80525 2.96397 -2.31216 -1.9403 -1.1385 0.4068
F 2.46076 3.75454 -0.60689 -0.8720 0.5013 -0.4754
S 3.25239 0.59624 -1.20192 4.5973 -5.0410 1.7374
O 4.46691 0.89821 -0.47152 -0.4353 0.3280 -1.2555
O 3.33086 0.17240 -2.58433 -0.4005 0.5152 1.2804
F 2.88391 -0.74469 -0.34889 -0.9529 -0.0303 -0.6258
```
Positions in Å, forces in eV/Å.

Atom charges from the natural (NBO) analysis, given in e for atoms 1 to 2:
1. K 0.96
2. N -1.19

----------

1.
Molecular formula: H4InO2
Method: DFT, ωB97M-V/def2-TZVPD

Values from the calculation:
* lowest unoccupied orbital energy: -0.8432 Ha
* net charge: +3
* multiplicity: 1

Each line ends with the natural charge from an NBO analysis.
Geometry (Å):
In  9.8398  19.1388  3.2201  2.192
O  7.6988  18.6178  1.5220  -0.752
H  7.9187  18.6958  0.5474  0.575
H  6.8031  18.1749  1.5563  0.585
O  7.7267  18.0779  4.5745  -0.767
H  6.7683  18.3616  4.5769  0.581
H  7.8299  17.4792  5.3749  0.586

---

2.
Molecular formula: H4N2
Method: DFT, ωB97M-V/def2-TZVPD

Values from the calculation:
* lowest unoccupied orbital energy: 0.0496 Ha
* multiplicity: 1
* SMILES: NN

Each line ends with the natural charge from an NBO analysis.
Geometry (Å):
H  1.0630  -0.7704  -0.5183  0.338
H  1.0386  0.7956  -0.2259  0.333
H  -0.9767  0.8184  0.1874  0.330
H  -1.1373  -0.6758  0.5631  0.335
N  0.7234  -0.0812  0.1571  -0.669
N  -0.7110  -0.0865  -0.1634  -0.667

---

3.
└──
The state competition began with a series of qualification rounds, where teams were matched up in a random alliance with another competing team, then worked together against another two-team alliance.
“There were about 36 teams from all over Illinois. Before the semifinals, each team competed with other different teams seven times. These rounds helped the judges rank the robots. During those seven times, you get a random alliance. You can even go against a team from your own school,” team 321H member Teryokhina explained.
The semifinals are where things get interesting. Instead of random alliances, the top eight teams from the qualifying rounds are able to choose two other teams to work with.
“The best teams usually have people that scout [during the qualification rounds], so they sit in the stands and watch all the matches and take notes on other teams and their bots, so when they have to pick, they know which ones are actually good,” robotics club member Priyal Soni explained.
The qualification rounds turned out to be quite a challenge for West’s teams.
“We [team 321A] finished our qualification rounds with a record of 2-5. Out of 36 teams, we ranked 33rd in the qualification matches due to technical difficulties but were selected in the elimination rounds by a team from Niles North,” Moldofsky said.
In contrast to the heated rivalry between West and North in other athletic and academic competitions, the alliance system and Niles North’s choice to form an alliance with Niles West allowed team 321A to stay in the competition. While reflecting on the outcome of the state competition, Robotics Club sponsor and engineering teacher Tim Sullivan acknowledged North’s role in the win.
“I need to recognize Niles North for their partnered success across the season and at state,” Sullivan said. “We won with them, and personally, I couldn’t be more proud of that in times when things seem so divided.”

Together, the alliance of North’s and West’s teams and a team from Stevenson High School were able to take home the title of State Champions, earning them all a bid to the VEX Robotics World Championship. And although they didn’t win a title, West’s other team, 321H, also earned a bid to the world championship in an alliance with another Niles North team and a team from Benet Academy.
Overcoming technical difficulties on the fly is one of the most challenging parts of competition, and the robotics members know exactly what they need to fix for future competitions.
“For some reason, my bot drains battery like there’s no tomorrow, so it slows down by the end of a match, which sucks,” Soni explained. “We had several smaller problems throughout state, but they all got fixed in time for new problems to arise, as usual. I’d also probably work on driving the bot because that’s half the battle.”
With the world championship quickly approaching, teams 321A and 321H are working hard to iron out difficulties and improve their performance in competition.
“Between now and worlds, we mostly just want to practice so that we can be ready for the higher levels of competition that we expect to be there,” Moldofsky said.
Stay tuned to see how our Wolves fare at worlds later this month when they take on the best of the best from around the world.